Excerpt >
Molecular formula: C4H12BIOP
Method: DFT, ωB97M-V/def2-TZVPD

Maximum force in eV/Å: 0.20
Multiplicity: 1
Total charge: -1
Energy relative to the best compared isomer or geometry (same formula, charge and spin) in eV: 0.0000
Lowest unoccupied orbital energy in eV: 2.9

Last columns: bonded neighbours and bond lengths (Å).
Element x y z (Å)
1 C 0.457 1.361 2.293  C2 1.518, H9 1.095, H10 1.091, H11 1.092
2 C 0.322 0.931 0.843  C1 1.518, I3 2.192, C4 1.512, H12 1.089
3 I 1.080 2.584 -0.382  C2 2.192
4 C -1.074 0.496 0.459  C2 1.512, B5 1.632, H13 1.098, H14 1.101
5 B -1.450 0.069 -1.070  C4 1.632, P6 1.965, H15 1.224, H16 1.227
6 P -0.601 -1.602 -1.663  B5 1.965, C7 1.878, O8 1.725
7 C 1.210 -1.143 -1.858  P6 1.878, H17 1.092, H18 1.096, H19 1.092
8 O -0.493 -2.459 -0.169  P6 1.725, H20 0.960
9 H 0.294 0.483 2.927  C1 1.095
10 H 1.438 1.778 2.523  C1 1.091
11 H -0.304 2.102 2.546  C1 1.092
12 H 1.030 0.133 0.624  C2 1.089
13 H -1.783 1.242 0.844  C4 1.098
14 H -1.228 -0.412 1.062  C4 1.101
15 H -1.153 0.902 -1.916  B5 1.224
16 H -2.655 -0.148 -1.133  B5 1.227
17 H 1.643 -1.620 -2.738  C7 1.092
18 H 1.780 -1.468 -0.981  C7 1.096
19 H 1.340 -0.063 -1.947  C7 1.092
20 H 0.148 -3.167 -0.265  O8 0.960

=====

The following is a quantum chemistry calculation of 6 unconnected molecules or ions with the total composition C19H33F2N2O19 in a non-equilibrium geometry, from the OMol25 dataset.

Computed properties:
Energy, a.u.: -2482.6829
Kohn-Sham gap, Ha: 0.261
LUMO energy, hartree: 0.0801
Total charge: -1
Energy above the lowest of the compared OMol25 structures with the same formula, charge and spin, eV: 0.383
F_max, eV Å⁻¹: 2.116

Structure (XYZ):
```
75
Properties=species:S:1:pos:R:3:mulliken_charge:R:1
O -1.142 -0.990 -2.981 -0.760
C -0.588 -1.731 -2.130 0.701
O -1.161 -2.573 -1.425 -0.735
C 0.942 -1.583 -2.021 -0.656
N 1.427 -1.193 -0.684 -0.545
N 0.396 -0.769 0.212 0.683
C 0.522 0.619 0.515 0.550
O -0.416 1.320 0.653 -0.501
F 1.748 1.104 0.600 -0.213
C 0.402 -1.494 1.398 0.468
O 0.463 -1.031 2.504 -0.591
F 0.343 -2.783 1.179 -0.220
H 1.254 -0.842 -2.746 0.266
H 1.368 -2.549 -2.285 0.271
H 2.025 -1.889 -0.272 0.274
C 0.355 -3.267 4.469 -0.548
O 0.359 -4.467 5.263 -0.333
C -0.746 -5.194 5.164 0.734
O -1.711 -4.939 4.498 -0.529
O -0.603 -6.274 5.944 -0.341
C -1.729 -7.148 5.929 -0.633
H 1.307 -2.776 4.649 0.314
H 0.272 -3.501 3.419 0.205
H -0.449 -2.602 4.775 0.327
H -1.905 -7.533 4.926 0.297
H -2.618 -6.637 6.297 0.287
H -1.494 -7.976 6.593 0.210
C -3.626 -1.719 -4.215 -0.683
O -3.206 -2.082 -5.548 -0.100
C -3.948 -2.997 -6.136 0.679
O -4.919 -3.549 -5.686 -0.580
O -3.435 -3.227 -7.361 -0.290
C -4.146 -4.203 -8.111 -0.692
H -2.932 -0.969 -3.845 0.199
H -4.634 -1.301 -4.239 0.358
H -3.582 -2.578 -3.552 0.307
H -5.174 -3.887 -8.282 0.297
H -4.129 -5.167 -7.605 0.284
H -3.639 -4.297 -9.069 0.217
C 1.307 4.376 1.456 -0.740
O 1.969 5.332 2.297 -0.325
C 3.295 5.221 2.314 0.802
O 3.944 4.419 1.703 -0.554
O 3.778 6.160 3.133 -0.319
C 5.200 6.154 3.249 -0.655
H 0.243 4.583 1.535 0.262
H 1.613 4.502 0.420 0.396
H 1.482 3.355 1.782 0.296
H 5.665 6.344 2.283 0.296
H 5.549 5.206 3.656 0.297
H 5.464 6.954 3.935 0.228
C 3.717 0.688 7.690 -0.659
O 2.673 1.116 6.819 -0.286
C 2.738 2.403 6.478 0.777
O 3.577 3.185 6.841 -0.563
O 1.717 2.667 5.671 -0.311
C 1.658 4.023 5.220 -0.353
H 3.549 -0.367 7.887 0.211
H 4.689 0.811 7.215 0.303
H 3.684 1.237 8.630 0.289
H 2.548 4.277 4.652 0.044
H 1.538 4.702 6.062 0.348
H 0.791 4.113 4.573 0.189
C -2.292 4.102 -6.447 -0.659
O -2.349 2.707 -6.171 -0.278
C -1.969 1.932 -7.189 0.704
O -1.604 2.325 -8.269 -0.577
O -2.067 0.670 -6.804 -0.102
C -1.693 -0.285 -7.798 -0.602
H -2.622 4.614 -5.547 0.218
H -1.273 4.409 -6.677 0.288
H -2.958 4.361 -7.269 0.284
H -0.651 -0.152 -8.086 0.327
H -2.341 -0.201 -8.671 0.309
H -1.820 -1.268 -7.361 0.135
```
Brief >
Could you reproduce the notes above from the first line to the one with "6.062 0.348" exactly?
Response >
Molecular formula: C4H12BIOP
Method: DFT, ωB97M-V/def2-TZVPD

Maximum force in eV/Å: 0.20
Multiplicity: 1
Total charge: -1
Energy relative to the best compared isomer or geometry (same formula, charge and spin) in eV: 0.0000
Lowest unoccupied orbital energy in eV: 2.9

Last columns: bonded neighbours and bond lengths (Å).
Element x y z (Å)
1 C 0.457 1.361 2.293  C2 1.518, H9 1.095, H10 1.091, H11 1.092
2 C 0.322 0.931 0.843  C1 1.518, I3 2.192, C4 1.512, H12 1.089
3 I 1.080 2.584 -0.382  C2 2.192
4 C -1.074 0.496 0.459  C2 1.512, B5 1.632, H13 1.098, H14 1.101
5 B -1.450 0.069 -1.070  C4 1.632, P6 1.965, H15 1.224, H16 1.227
6 P -0.601 -1.602 -1.663  B5 1.965, C7 1.878, O8 1.725
7 C 1.210 -1.143 -1.858  P6 1.878, H17 1.092, H18 1.096, H19 1.092
8 O -0.493 -2.459 -0.169  P6 1.725, H20 0.960
9 H 0.294 0.483 2.927  C1 1.095
10 H 1.438 1.778 2.523  C1 1.091
11 H -0.304 2.102 2.546  C1 1.092
12 H 1.030 0.133 0.624  C2 1.089
13 H -1.783 1.242 0.844  C4 1.098
14 H -1.228 -0.412 1.062  C4 1.101
15 H -1.153 0.902 -1.916  B5 1.224
16 H -2.655 -0.148 -1.133  B5 1.227
17 H 1.643 -1.620 -2.738  C7 1.092
18 H 1.780 -1.468 -0.981  C7 1.096
19 H 1.340 -0.063 -1.947  C7 1.092
20 H 0.148 -3.167 -0.265  O8 0.960

=====

The following is a quantum chemistry calculation of 6 unconnected molecules or ions with the total composition C19H33F2N2O19 in a non-equilibrium geometry, from the OMol25 dataset.

Computed properties:
Energy, a.u.: -2482.6829
Kohn-Sham gap, Ha: 0.261
LUMO energy, hartree: 0.0801
Total charge: -1
Energy above the lowest of the compared OMol25 structures with the same formula, charge and spin, eV: 0.383
F_max, eV Å⁻¹: 2.116

Structure (XYZ):
```
75
Properties=species:S:1:pos:R:3:mulliken_charge:R:1
O -1.142 -0.990 -2.981 -0.760
C -0.588 -1.731 -2.130 0.701
O -1.161 -2.573 -1.425 -0.735
C 0.942 -1.583 -2.021 -0.656
N 1.427 -1.193 -0.684 -0.545
N 0.396 -0.769 0.212 0.683
C 0.522 0.619 0.515 0.550
O -0.416 1.320 0.653 -0.501
F 1.748 1.104 0.600 -0.213
C 0.402 -1.494 1.398 0.468
O 0.463 -1.031 2.504 -0.591
F 0.343 -2.783 1.179 -0.220
H 1.254 -0.842 -2.746 0.266
H 1.368 -2.549 -2.285 0.271
H 2.025 -1.889 -0.272 0.274
C 0.355 -3.267 4.469 -0.548
O 0.359 -4.467 5.263 -0.333
C -0.746 -5.194 5.164 0.734
O -1.711 -4.939 4.498 -0.529
O -0.603 -6.274 5.944 -0.341
C -1.729 -7.148 5.929 -0.633
H 1.307 -2.776 4.649 0.314
H 0.272 -3.501 3.419 0.205
H -0.449 -2.602 4.775 0.327
H -1.905 -7.533 4.926 0.297
H -2.618 -6.637 6.297 0.287
H -1.494 -7.976 6.593 0.210
C -3.626 -1.719 -4.215 -0.683
O -3.206 -2.082 -5.548 -0.100
C -3.948 -2.997 -6.136 0.679
O -4.919 -3.549 -5.686 -0.580
O -3.435 -3.227 -7.361 -0.290
C -4.146 -4.203 -8.111 -0.692
H -2.932 -0.969 -3.845 0.199
H -4.634 -1.301 -4.239 0.358
H -3.582 -2.578 -3.552 0.307
H -5.174 -3.887 -8.282 0.297
H -4.129 -5.167 -7.605 0.284
H -3.639 -4.297 -9.069 0.217
C 1.307 4.376 1.456 -0.740
O 1.969 5.332 2.297 -0.325
C 3.295 5.221 2.314 0.802
O 3.944 4.419 1.703 -0.554
O 3.778 6.160 3.133 -0.319
C 5.200 6.154 3.249 -0.655
H 0.243 4.583 1.535 0.262
H 1.613 4.502 0.420 0.396
H 1.482 3.355 1.782 0.296
H 5.665 6.344 2.283 0.296
H 5.549 5.206 3.656 0.297
H 5.464 6.954 3.935 0.228
C 3.717 0.688 7.690 -0.659
O 2.673 1.116 6.819 -0.286
C 2.738 2.403 6.478 0.777
O 3.577 3.185 6.841 -0.563
O 1.717 2.667 5.671 -0.311
C 1.658 4.023 5.220 -0.353
H 3.549 -0.367 7.887 0.211
H 4.689 0.811 7.215 0.303
H 3.684 1.237 8.630 0.289
H 2.548 4.277 4.652 0.044
H 1.538 4.702 6.062 0.348